Local Government Group Peer Challenge (Monday, 12 September to Friday, 16 September 2011)

Improving safeguarding of children in Salford Council Lord Laming’s report “The Protection of Children in England” has re- emphasised that safeguarding is a critical priority for local authorities and their partners who deliver services for children. We are constantly striving to improve outcomes for children and young people in Salford Council but an external and independent view can help to accelerate or consolidate progress. To this end the council and its partners have invited a visit from a Local Government Group (Peer Support Team) peer challenge team. Peer Support Team is the peer delivery arm of the Local Government Group.

Council Safeguarding Children Peer Challenge The peer team has been invited by Salford City Council’s Children’s Services to conduct a challenge of local safeguarding children services. The challenge is not an inspection-rather it is a supportive but challenging ‘critical friend’ approach to assist councils and their partners in celebrating their strengths and identifying their own areas for improvement. The key purpose of the challenge is to stimulate local discussion about how the council and its partners can become more effective in delivering improved safe outcomes for children and young people. All members of the team are knowledgeable about, and experienced in, children’s services and/or local government. However, in order for the team to be able to effectively evaluate our strength and areas for development they will need our full co-operation.

The Peer Challenge Team The team will be senior staff and a councillor from other authorities and are:-

 Team Leader  Member Peer  Officer Peer  Health Peer  Off-site Peer  Challenge Manager

+++
Structure and computed powder diffraction line list of Na2CuH2S2O8 (the PBE geometry in Alexandria; Cu Kα X-rays).

Structure:
```
Na2CuH2S2O8
1.0
5.2533 0.0000 0.0000
0.0000 13.8934 0.0000
-2.8048 0.0000 5.8477
Na Cu H S O
4 2 4 4 16
Cartesian
-0.6259 1.4934 2.1204 Na
-2.0283 5.4533 5.0442 Na
4.4767 8.4401 0.8035 Na
3.0743 12.4000 3.7274 Na
2.6266 0.0000 0.0000 Cu
1.2242 6.9467 2.9239 Cu
-1.4151 2.6040 5.1708 H
-0.0127 4.3427 2.2469 H
2.4611 9.5507 3.6008 H
3.8636 11.2895 0.6770 H
-0.9547 8.7762 4.4471 S
0.4477 12.0640 1.5232 S
2.0007 1.8294 4.3245 S
3.4031 5.1173 1.4007 S
-2.1862 3.0104 4.6962 O
-0.7838 3.9363 1.7723 O
-1.6964 7.8088 5.2686 O
-0.2940 13.0314 2.3447 O
-0.5060 8.2065 3.1498 O
0.8964 12.6337 0.2260 O
0.0901 9.4862 5.1668 O
1.4925 11.3539 2.2430 O
0.9559 2.5395 3.6048 O
2.3583 4.4072 0.6809 O
1.5520 1.2597 5.6218 O
2.9544 5.6870 2.6979 O
2.7424 0.8621 3.5030 O
4.1448 6.0846 0.5791 O
3.2322 9.9572 4.0754 O
4.6346 10.8830 1.1515 O
```

Most intense lines, 5 to 70 degrees two-theta, most intense first:
hkl  two_theta  I_rel
0 2 1  19.83  100.0
1 3 -1  26.63  87.4
1 1 1  29.66  78.1
1 0 -2  28.09  39.0
0 3 1  24.52  36.2
1 1 -2  28.83  32.8
0 2 0  12.74  31.5
0 2 2  33.25  28.8
1 3 0  26.93  26.8
1 4 0  31.95  24.5

=====

(1)
Diffraction record for KAcS2O6. The powder X-ray diffraction pattern is computed, not measured: it uses a cell relaxed with PBE and copper Kα.
Lines closer than 0.1° are merged.

Atomic structure:
```
data_KAcS2O6
_symmetry_space_group_name_H-M 'R -3'
_symmetry_Int_Tables_number 148
_symmetry_space_group_name_Hall '-R 3'
_cell_length_a 5.4839
_cell_length_b 5.4839
_cell_length_c 21.0929
_cell_angle_alpha 90.00
_cell_angle_beta 90.00
_cell_angle_gamma 120.00
loop_
_atom_site_label
_atom_site_type_symbol
_atom_site_fract_x
_atom_site_fract_y
_atom_site_fract_z
K1 K 0.0000 0.0000 0.0000
Ac1 Ac 0.0000 0.0000 0.5000
S1 S 0.0000 0.0000 0.2678
O1 O 0.0107 0.7466 0.2387
```

Top 12 peaks for 10 to 80 degrees two-theta, by angle:
two_theta	d_spacing	Rel. int.
12.6	7.031	37
19.2	4.633	50
20.5	4.330	32
25.2	3.529	100
28.3	3.154	23
32.7	2.742	33
35.1	2.555	18
38.9	2.317	13
39.1	2.305	26
41.8	2.163	41
51.3	1.782	15
54.0	1.699	17

(2)
Diffraction record for BaNa2TcCl8. The powder X-ray diffraction pattern is computed, not measured: it uses a cell relaxed with PBE and copper Kα.
Lines closer than 0.1° are merged.

Atomic structure:
```
data_BaNa2TcCl8
_symmetry_space_group_name_H-M 'P -1'
_symmetry_Int_Tables_number 2
_cell_length_a 6.423
_cell_length_b 6.554
_cell_length_c 8.708
_cell_angle_alpha 83.71
_cell_angle_beta 85.70
_cell_angle_gamma 86.46
loop_
_symmetry_equiv_pos_as_xyz
'x,y,z'
'-x,-y,-z'
loop_
_atom_site_label
_atom_site_type_symbol
_atom_site_fract_x
_atom_site_fract_y
_atom_site_fract_z
Ba1 Ba 0.000 0.000 0.000
Na1 Na 0.451 0.438 0.237
Tc1 Tc 0.000 0.000 0.500
Cl1 Cl 0.143 0.769 0.703
Cl2 Cl 0.201 0.819 0.311
Cl3 Cl 0.275 0.220 0.507
Cl4 Cl 0.342 0.295 0.976
```
+++

The Approach The peer challenge is based on a framework which focuses attention on five themes:

 Outcomes  Vision, Strategy and Leadership  Working Together and Local Safeguarding Children Board (LSCB)  Service Delivery and Effective Practice  Managing Resources

Other optional themes may be added as required from the following:

 Participation  Managing Performance  Productivity and Innovation  Commissioning The Work Some work will be undertaken prior to the team’s visit. The peer challenge team will study documents, policies and performance information. This will include questionnaires completed by staff, partners etc. A case mapping exercise will be undertaken challenging the success and challenges of inter-agency collaborative work in safeguarding cases.

The team will then come to Salford City Council for a week. The process begins with a meeting of senior managers from partner agencies, the challenge team will talk to a cross-section of senior officers, elected members, partners and front line staff. This on-site work is a key aspect of the peer challenge process and those interviewed are encouraged to be as open and honest as possible. All information provided will be treated by the challenge team as non attributable.

The team will feed back their observations and recommendations/findings from all the elements of the peer challenge at the end of the site visit and facilitate a workshop around its findings. This will be followed a few weeks later by written feedback that the council will have the opportunity to consider.

When The challenge team will come to Salford City Council for one week from Monday, 12 September to Friday, 16 September (inclusive) with a lead in of twelve weeks to enable case audit and questionnaires to be completed and to develop the timetable for the on-site visit.

Relationship with Ofsted Inspection The Local Government Group (Head of Safeguarding Programme) notifies Ofsted of the planned challenge in order that Ofsted inspection does not coincide with the peer challenge.

Role of Partner Agencies The challenge is a real opportunity for candid feedback on how we work together to safeguard and promote the welfare of children. It is important that staff are able to speak freely about their experience of their own agency areas of strength and those in need of development as well as to comment on the effectiveness of interagency working. Operational and senior staff will be invited to take part and it is vital that they are enabled to do so.

How to contact us If you would like more information or the opportunity to speak to the team, please contact: Challenge Manager: Ernest Opuni

• Someone pasted materials data at this point:
- - -
Diffraction record for Pm3Te2I. The X-ray diffraction stick pattern is simulated, not measured: it uses the GGA-PBE geometry in Alexandria and λ = 1.5418 Å (Cu Kα).

Largest 10 diffraction maxima, in order of falling intensity, 5 to 70 degrees two-theta:
- 28.36°, I 100, hkl 1 0 4
- 30.45°, I 65, hkl 1 0 5
- 42.64°, I 60, hkl 1 1 0
- 38.33°, I 32, hkl 1 0 8
- 63.33°, I 31, hkl 1 1 12
- 41.36°, I 23, hkl 1 0 9
- 26.63°, I 19, hkl 1 0 3
- 52.01°, I 18, hkl 2 0 4
- 44.50°, I 17, hkl 0 0 12
- 35.48°, I 16, hkl 1 0 7

Crystal structure
```
data_Pm3Te2I
_cell_length_a 4.2404
_cell_length_b 4.2404
_cell_length_c 24.4322
_cell_angle_alpha 90.00
_cell_angle_beta 90.00
_cell_angle_gamma 120.00
_space_group_name_H-M_alt 'P 63/m m c'
_space_group_IT_number 194
_space_group_name_Hall '-P 6c 2c'
loop_
_atom_site_label
_atom_site_fract_x
_atom_site_fract_y
_atom_site_fract_z
Pm1 0.0000 0.0000 0.0000
Pm2 0.3333 0.6667 0.1574
Te1 0.3333 0.6667 0.5798
I1 0.0000 0.0000 0.2500
```

----------

For Tb3ErSc5, a PBE-relaxed structure gives the calculated PXRD pattern in this record (Cu Kα (weighted mean of Kα1 and Kα2)).
Kinematic intensities with the Lorentz-polarization factor, no thermal factor.

Largest 8 diffraction maxima, by intensity, 15° ≤ 2θ ≤ 90°:
Position (°2θ)	I_rel
33.1	100
24.7	72
30.5	70
45.3	56
30.3	54
25.0	44
39.5	35
32.9	30

Cell and atoms:
```
18
Lattice="-4.171 4.171 7.119 4.171 -4.171 7.119 4.171 4.171 -7.119" Properties=species:S:1:pos:R:3 pbc="T T T"
Tb 5.161 0.990 0.000
Tb 0.000 0.000 3.560
Tb 0.990 3.180 0.000
Tb 3.180 0.990 7.119
Tb 0.000 0.000 10.679
Tb -0.990 3.180 7.119
Er 4.171 0.000 3.560
Er 0.000 4.171 3.560
Sc 0.000 0.000 0.000
Sc 2.440 1.730 -1.927
Sc 2.440 -1.730 5.192
Sc 2.440 1.730 1.927
Sc 2.440 -1.730 9.046
Sc 0.000 0.000 7.119
Sc 1.730 5.901 -1.927
Sc 1.730 2.440 5.192
Sc 1.730 5.901 1.927
Sc 1.730 2.440 9.046
```

----------

This entry pairs a crystal structure of PuPa2Si with its theoretical powder X-ray diffraction pattern. Radiation: Cu Ka. Structure: a DFT-relaxed cell (GGA-PBE, Alexandria).

Top 10 peaks for 15 to 90 degrees two-theta, sorted by position:
hkl  2theta  d (Å)  Rel. int.
1 0 0  19.69  4.508  16.8
1 0 1  28.93  3.086  13.6
1 1 1  35.24  2.547  100.0
2 0 0  40.00  2.254  35.6
0 0 2  42.72  2.117  14.8
2 2 0  57.85  1.594  12.4
2 0 2  59.95  1.543  22.3
3 1 1  69.58  1.351  28.9
1 1 3  73.38  1.290  12.5
2 2 2  74.52  1.273  12.0

Structure:
a b c (Å): 4.508 4.508 4.233
angles (deg): 90.00 90.00 90.00
Space group P4/mmm (No. 123)
Unique sites:
1 Pu 0.000 0.000 0.000 x1
2 Pa 0.000 0.500 0.500 x2
3 Si 0.500 0.500 0.000 x1
- - -
• Back to the page:

Council contact: Jon Stonehouse/Sue Atkinson

Find out more at www.local.gov.uk